Given:
- - -
TbMo6Se8: relaxed, PBE-GGA.

Values from the calculation:
E_form (uncorrected), eV/atom: -0.71
DFT total energy, eV per atom: -7.212
Fermi-level density of states, states/eV/f.u.: 7.308

Cell: 9.5016 9.5016 11.9123 Å, 90.00 90.00 120.00°
Space group R-3 (No. 148, hexagonal axes)
One atom of each set of equivalent atoms:
Tb1 0.0000 0.0000 0.0000
Mo1 0.0187 0.8465 0.4054
Se1 0.0000 0.0000 0.2376
Se2 0.0072 0.3802 0.7498
- - -

Request:
Quote everything further above verbatim.

Completed:
TbMo6Se8: relaxed, PBE-GGA.

Values from the calculation:
E_form (uncorrected), eV/atom: -0.71
DFT total energy, eV per atom: -7.212
Fermi-level density of states, states/eV/f.u.: 7.308

Cell: 9.5016 9.5016 11.9123 Å, 90.00 90.00 120.00°
Space group R-3 (No. 148, hexagonal axes)
One atom of each set of equivalent atoms:
Tb1 0.0000 0.0000 0.0000
Mo1 0.0187 0.8465 0.4054
Se1 0.0000 0.0000 0.2376
Se2 0.0072 0.3802 0.7498